Entries =
1.
The following is a DFT calculation (ωB97M-V/def2-TZVPD) of a 21-piece molecular cluster, C18H57F6N5O22 overall.

Output
total charge: 0
Kohn-Sham gap: 0.30557 Ha
largest force on an atom: 3.92 eV Å⁻¹
E_HOMO: -9.2 eV

```
108
C18H57F6N5O22 | the OMol25 dataset | ωB97M-V/def2-TZVPD
O -0.503 0.988 2.789
F 0.868 -0.783 -5.804
F -0.149 -2.797 -5.407
F 2.161 -2.474 -5.444
F -3.346 -2.409 2.350
F -5.471 -2.051 2.007
F -4.749 -1.936 3.978
N 4.230 1.736 -0.260
N 3.446 0.913 0.322
N 4.683 -0.200 -1.297
O -5.191 0.819 4.293
C -1.498 0.437 2.214
C 4.936 1.125 -1.209
C -1.272 -0.121 0.901
C -0.011 -0.390 0.382
C -0.780 -0.728 -1.959
C -0.523 -1.083 -3.307
C 1.795 -1.608 -2.714
C 0.253 -0.851 -0.995
C 0.776 -1.497 -3.629
C 1.532 -1.251 -1.378
N 3.655 -0.261 -0.373
N -2.767 0.454 2.880
C 6.036 1.785 -1.936
C 0.932 -1.937 -5.112
C 2.714 -1.382 -0.418
C -4.403 -1.609 2.692
C -4.056 1.572 4.713
C -5.254 0.750 2.909
C -2.790 0.780 4.345
C -4.059 -0.112 2.314
H -2.128 -0.459 0.363
H 0.826 -0.073 1.076
H -1.797 -0.488 -1.716
H -1.359 -1.116 -3.959
H 2.682 -2.114 -3.016
H 5.682 2.698 -2.478
H 6.765 2.055 -1.123
H 6.485 1.107 -2.701
H 3.299 -2.190 -0.759
H 2.458 -1.517 0.602
H -4.019 2.542 4.224
H -3.955 1.655 5.789
H -6.320 0.449 2.601
H -5.195 1.758 2.489
H -1.844 1.295 4.582
H -2.865 -0.153 4.960
H -4.025 0.053 1.229
O 2.913 0.571 -6.889
H 3.168 0.696 -5.918
H 2.027 1.035 -7.045
O 6.316 3.036 -5.092
H 6.067 3.817 -5.685
H 6.927 2.423 -5.617
O -6.763 -1.212 6.024
H -6.576 -0.220 6.083
H -7.100 -1.414 5.091
O -3.971 3.121 8.132
H -4.205 3.105 9.116
H -3.001 3.395 8.043
O 0.214 -5.112 -3.658
H 0.524 -4.634 -2.822
H -0.659 -4.694 -3.955
O -7.585 -4.076 1.540
H -7.610 -3.547 2.401
H -8.028 -3.524 0.817
O -3.084 4.087 2.563
H -3.983 4.523 2.717
H -2.789 4.299 1.618
O 0.858 -1.088 -8.707
H 1.166 -0.625 -7.862
H 0.307 -1.895 -8.442
O -2.901 -2.649 -5.630
H -2.556 -3.445 -6.151
H -3.104 -1.907 -6.287
O 0.901 -0.804 4.386
H 1.869 -0.961 4.138
H 0.553 -0.036 3.826
O -0.584 3.739 3.458
H -1.482 4.036 3.099
H -0.228 3.010 2.852
O 3.982 1.686 -4.623
H 3.398 2.219 -3.991
H 4.823 2.220 -4.799
O 8.201 3.665 -3.357
H 8.807 4.113 -4.032
H 7.288 3.555 -3.779
O 4.813 -4.390 -1.266
H 4.119 -4.970 -1.720
H 4.507 -4.216 -0.318
O 3.385 -0.862 3.115
H 3.347 0.147 3.047
H 4.207 -1.181 2.619
O -5.683 4.547 3.420
H -5.542 4.345 4.401
H -6.230 5.395 3.347
O -4.544 2.490 -0.238
H -3.589 2.719 0.007
H -5.159 3.072 0.316
O 3.917 -4.103 1.356
H 4.044 -4.803 2.075
H 4.448 -3.283 1.617
O -1.112 -1.251 6.205
H -0.729 -1.324 7.139
H -0.344 -1.114 5.560
O 5.207 -1.375 -4.180
H 4.862 -0.447 -4.385
H 6.090 -1.283 -3.694
```

Mulliken atomic charge list, values in e, 5 entries: O -0.90; F -0.11; F -0.16; F -0.28; F -0.27


2.
The following is a DFT calculation (ωB97M-V/def2-TZVPD) of one molecule with the formula C6H8N2O2.

Output
energy above the lowest of the compared OMol25 structures with the same formula, charge and spin: 3.194 eV
total charge: 0
Kohn-Sham gap (alpha / beta): 0.27332 / 0.27335 Ha
largest force on an atom: 2.28 eV Å⁻¹
E_HOMO (alpha / beta): -7.9 / -7.9 eV

```
18
C6H8N2O2 | the OMol25 dataset | ωB97M-V/def2-TZVPD
C -1.298 2.107 -0.568
C -0.088 1.827 -0.012
C 1.978 1.034 1.969
C -2.718 0.213 -0.662
C 1.358 0.228 0.898
C 1.440 -1.876 -0.182
N -2.193 1.259 -1.113
N 0.403 0.573 0.108
O 1.644 2.150 2.290
O 1.872 -1.016 0.856
H -1.562 3.145 -0.721
H 0.542 2.667 0.262
H 2.797 0.497 2.484
H -3.351 -0.369 -1.316
H -2.592 -0.142 0.365
H 1.427 -2.885 0.228
H 2.142 -1.826 -1.018
H 0.448 -1.588 -0.530
```

natural (NBO) atomic charge list, values in e, 5 entries: C -0.03; C -0.09; C 0.36; C -0.02; C 0.43


3.
The following is a DFT calculation (ωB97M-V/def2-TZVPD) of one molecule with the formula C2H7O2PS.

Output
energy above the lowest of the compared OMol25 structures with the same formula, charge and spin: 1.521 eV
total charge: 0
Kohn-Sham gap: 0.36263 Ha
largest force on an atom: 4.65 eV Å⁻¹
E_HOMO: -9.7 eV

```
13
C2H7O2PS | the OMol25 dataset | ωB97M-V/def2-TZVPD

Exercise =
It remains to return all of the contents further up with every line break kept.

Worked solution =
1.
The following is a DFT calculation (ωB97M-V/def2-TZVPD) of a 21-piece molecular cluster, C18H57F6N5O22 overall.

Output
total charge: 0
Kohn-Sham gap: 0.30557 Ha
largest force on an atom: 3.92 eV Å⁻¹
E_HOMO: -9.2 eV

```
108
C18H57F6N5O22 | the OMol25 dataset | ωB97M-V/def2-TZVPD
O -0.503 0.988 2.789
F 0.868 -0.783 -5.804
F -0.149 -2.797 -5.407
F 2.161 -2.474 -5.444
F -3.346 -2.409 2.350
F -5.471 -2.051 2.007
F -4.749 -1.936 3.978
N 4.230 1.736 -0.260
N 3.446 0.913 0.322
N 4.683 -0.200 -1.297
O -5.191 0.819 4.293
C -1.498 0.437 2.214
C 4.936 1.125 -1.209
C -1.272 -0.121 0.901
C -0.011 -0.390 0.382
C -0.780 -0.728 -1.959
C -0.523 -1.083 -3.307
C 1.795 -1.608 -2.714
C 0.253 -0.851 -0.995
C 0.776 -1.497 -3.629
C 1.532 -1.251 -1.378
N 3.655 -0.261 -0.373
N -2.767 0.454 2.880
C 6.036 1.785 -1.936
C 0.932 -1.937 -5.112
C 2.714 -1.382 -0.418
C -4.403 -1.609 2.692
C -4.056 1.572 4.713
C -5.254 0.750 2.909
C -2.790 0.780 4.345
C -4.059 -0.112 2.314
H -2.128 -0.459 0.363
H 0.826 -0.073 1.076
H -1.797 -0.488 -1.716
H -1.359 -1.116 -3.959
H 2.682 -2.114 -3.016
H 5.682 2.698 -2.478
H 6.765 2.055 -1.123
H 6.485 1.107 -2.701
H 3.299 -2.190 -0.759
H 2.458 -1.517 0.602
H -4.019 2.542 4.224
H -3.955 1.655 5.789
H -6.320 0.449 2.601
H -5.195 1.758 2.489
H -1.844 1.295 4.582
H -2.865 -0.153 4.960
H -4.025 0.053 1.229
O 2.913 0.571 -6.889
H 3.168 0.696 -5.918
H 2.027 1.035 -7.045
O 6.316 3.036 -5.092
H 6.067 3.817 -5.685
H 6.927 2.423 -5.617
O -6.763 -1.212 6.024
H -6.576 -0.220 6.083
H -7.100 -1.414 5.091
O -3.971 3.121 8.132
H -4.205 3.105 9.116
H -3.001 3.395 8.043
O 0.214 -5.112 -3.658
H 0.524 -4.634 -2.822
H -0.659 -4.694 -3.955
O -7.585 -4.076 1.540
H -7.610 -3.547 2.401
H -8.028 -3.524 0.817
O -3.084 4.087 2.563
H -3.983 4.523 2.717
H -2.789 4.299 1.618
O 0.858 -1.088 -8.707
H 1.166 -0.625 -7.862
H 0.307 -1.895 -8.442
O -2.901 -2.649 -5.630
H -2.556 -3.445 -6.151
H -3.104 -1.907 -6.287
O 0.901 -0.804 4.386
H 1.869 -0.961 4.138
H 0.553 -0.036 3.826
O -0.584 3.739 3.458
H -1.482 4.036 3.099
H -0.228 3.010 2.852
O 3.982 1.686 -4.623
H 3.398 2.219 -3.991
H 4.823 2.220 -4.799
O 8.201 3.665 -3.357
H 8.807 4.113 -4.032
H 7.288 3.555 -3.779
O 4.813 -4.390 -1.266
H 4.119 -4.970 -1.720
H 4.507 -4.216 -0.318
O 3.385 -0.862 3.115
H 3.347 0.147 3.047
H 4.207 -1.181 2.619
O -5.683 4.547 3.420
H -5.542 4.345 4.401
H -6.230 5.395 3.347
O -4.544 2.490 -0.238
H -3.589 2.719 0.007
H -5.159 3.072 0.316
O 3.917 -4.103 1.356
H 4.044 -4.803 2.075
H 4.448 -3.283 1.617
O -1.112 -1.251 6.205
H -0.729 -1.324 7.139
H -0.344 -1.114 5.560
O 5.207 -1.375 -4.180
H 4.862 -0.447 -4.385
H 6.090 -1.283 -3.694
```

Mulliken atomic charge list, values in e, 5 entries: O -0.90; F -0.11; F -0.16; F -0.28; F -0.27


2.
The following is a DFT calculation (ωB97M-V/def2-TZVPD) of one molecule with the formula C6H8N2O2.

Output
energy above the lowest of the compared OMol25 structures with the same formula, charge and spin: 3.194 eV
total charge: 0
Kohn-Sham gap (alpha / beta): 0.27332 / 0.27335 Ha
largest force on an atom: 2.28 eV Å⁻¹
E_HOMO (alpha / beta): -7.9 / -7.9 eV

```
18
C6H8N2O2 | the OMol25 dataset | ωB97M-V/def2-TZVPD
C -1.298 2.107 -0.568
C -0.088 1.827 -0.012
C 1.978 1.034 1.969
C -2.718 0.213 -0.662
C 1.358 0.228 0.898
C 1.440 -1.876 -0.182
N -2.193 1.259 -1.113
N 0.403 0.573 0.108
O 1.644 2.150 2.290
O 1.872 -1.016 0.856
H -1.562 3.145 -0.721
H 0.542 2.667 0.262
H 2.797 0.497 2.484
H -3.351 -0.369 -1.316
H -2.592 -0.142 0.365
H 1.427 -2.885 0.228
H 2.142 -1.826 -1.018
H 0.448 -1.588 -0.530
```

natural (NBO) atomic charge list, values in e, 5 entries: C -0.03; C -0.09; C 0.36; C -0.02; C 0.43


3.
The following is a DFT calculation (ωB97M-V/def2-TZVPD) of one molecule with the formula C2H7O2PS.

Output
energy above the lowest of the compared OMol25 structures with the same formula, charge and spin: 1.521 eV
total charge: 0
Kohn-Sham gap: 0.36263 Ha
largest force on an atom: 4.65 eV Å⁻¹
E_HOMO: -9.7 eV

```
13
C2H7O2PS | the OMol25 dataset | ωB97M-V/def2-TZVPD